As admission season draws near and your budding college goer is struggling with all the university options in order to make a decision on one that can change his whole life, here is how a parent can help their child choose the right university. Sure, making the decision can be difficult, but he will do the right thing with some help from you.
_Crystal structures that have nothing to do with the article_
For Ba7Hg2Au2, a PBE-relaxed structure gives the simulated XRD peak list in this record (Cu Ka).

The 10 most intense peaks (2θ = 5–70°), in order of falling intensity:
(1 4 1), 2θ = 28.5°, I 100; (1 2 3), 2θ = 32.2°, I 45; (0 3 3), 2θ = 27.4°, I 28; (1 3 2), 2θ = 29.0°, I 26; (2 0 0), 2θ = 40.1°, I 23; (1 1 2), 2θ = 25.7°, I 23; (0 2 2), 2θ = 18.2°, I 22; (0 6 2), 2θ = 32.5°, I 18; (0 5 1), 2θ = 24.9°, I 13; (0 2 4), 2θ = 32.8°, I 12

Structure:
Cell: 4.4976 18.8451 11.4217 Å, 90.00 90.00 90.00°
Space group Imm2 (No. 44)
Symmetry-distinct sites (fractional):
Ba: 0.0000 0.0000 0.0000 x2
Ba: 0.0000 0.1167 0.3856 x4
Ba: 0.0000 0.3041 0.5864 x4
Ba: 0.0000 0.3688 0.2386 x4
Hg: 0.0000 0.0000 0.6403 x2
Hg: 0.0000 0.5000 0.7307 x2
Au: 0.0000 0.2438 0.8730 x4


For RbAgSe3, a PBE-relaxed structure gives the simulated XRD peak list in this record (Cu Ka).

The 10 most intense peaks (2θ = 5–70°), in order of falling intensity:
(2 0 2), 2θ = 36.8°, I 100; (1 1 3), 2θ = 35.8°, I 97; (1 0 1), 2θ = 18.2°, I 82; (0 1 5), 2θ = 37.5°, I 51; (0 2 1), 2θ = 34.9°, I 33; (0 2 4), 2θ = 43.8°, I 32; (2 2 0), 2θ = 61.3°, I 30; (0 1 2), 2θ = 21.5°, I 29; (1 2 5), 2θ = 57.8°, I 28; (0 3 3), 2θ = 56.6°, I 25

Structure:
Cell: 6.0447 6.0447 13.4809 Å, 90.00 90.00 120.00°
Space group R3m (No. 160, hexagonal axes)
Symmetry-distinct sites (fractional):
Rb: 0.0000 0.0000 0.0000 x3
Ag: 0.0000 0.0000 0.3868 x3
Se: 0.1676 0.3352 0.2192 x9


For TmSnRh3, a PBE-relaxed structure gives the simulated XRD peak list in this record (Cu Ka).

The 10 most intense peaks (2θ = 5–70°), in order of falling intensity:
(1 2 1), 2θ = 30.4°, I 100; (1 2 3), 2θ = 42.0°, I 74; (2 0 2), 2θ = 38.2°, I 64; (0 0 4), 2θ = 40.5°, I 50; (2 2 0), 2θ = 40.3°, I 33; (0 3 1), 2θ = 37.2°, I 31; (2 1 1), 2θ = 35.9°, I 23; (3 2 3), 2θ = 64.2°, I 23; (0 3 3), 2θ = 47.4°, I 22; (2 2 2), 2θ = 45.4°, I 21

Structure:
Cell: 5.5585 7.5365 8.8998 Å, 90.00 90.00 90.00°
Space group Imma (No. 74)
Symmetry-distinct sites (fractional):
Tm: 0.0000 0.2500 0.0168 x4
Sn: 0.0000 0.0000 0.5000 x4
Rh: 0.0000 0.2500 0.7118 x4
Rh: 0.2500 0.0565 0.2500 x8


For TaHPd, a PBE-relaxed structure gives the simulated XRD peak list in this record (Cu Ka).

The 8 most intense peaks (2θ = 5–70°), in order of falling intensity:
(0 1 1), 2θ = 39.9°, I 100; (1 0 0), 2θ = 34.7°, I 28; (0 0 2), 2θ = 38.9°, I 23; (1 1 0), 2θ = 62.1°, I 18; (1 0 2), 2θ = 53.1°, I 18; (0 0 1), 2θ = 19.2°, I 9; (1 1 1), 2θ = 65.7°, I 2; (0 0 3), 2θ = 59.9°, I 1

Structure:
Cell: 2.9881 2.9881 4.6325 Å, 90.00 90.00 120.00°
Space group P3m1 (No. 156)
Symmetry-distinct sites (fractional):
Ta: 0.0000 0.0000 0.0000 x1
H: 0.6667 0.3333 0.7975 x1
Pd: 0.3333 0.6667 0.4749 x1


For HfNi7P2, a PBE-relaxed structure gives the simulated XRD peak list in this record (Cu Ka).

The 10 most intense peaks (2θ = 5–70°), in order of falling intensity:

Converse with him and steer him gently
In the initial phase of decision making, the student will be confused and there might be instances where he is overwhelmed because of the numerous options in front of him and the vulnerable mind that gets influence from peer views, or from having more than one career options. In such times, talk to him and ask him what his areas of interest are, which academic program he feels is best for him, Whether he wants to study close to home or move to a different location on his own. Asking these questions will give him something to ponder over and introspect on the different aspects of the decision. Letting him think over it and talking to him will slowly give him a clear direction and make you seem approachable with any roadblocks he is facing.
Take him on a campus visit
Once he has decided which program he wants to join and has narrowed the potential universities down, you can accompany him to some of them and interact with the professors, students and see the campus for yourself. This will help him take a decision fast because both of you can make informed choices, and usually by the end of the tour it is pretty obvious if that is the best university for your child

Discuss academic finances
How much college education costs is also a deciding factor in choosing the college. Your child might decide on a college, but when it comes to the money to be invested, he will look to you.
Some universities will be struck off from the list because of the costs. Once a college has been decided, even though it is out of your estimated budget, the decision of taking an academic loan will also depend on you.
Reach out to the University alumni
Once you have almost zeroed in on the university, help your child to reach out to the alumni of the university. Connect with other parents, people in your contacts and trace any alumni of the university in question who can answer any query of your child from experience and also help you be assured that it is the best university for him.

Diffraction record for Cu6GeSb. The X-ray powder pattern is calculated, not measured: it uses a crystal structure in Alexandria, relaxed with PBE and copper Kα.
Intensities are scaled so that the largest is 100.

Unit cell a=4.2801 b=4.2801 c=7.5739 alpha=90.00 beta=90.00 gamma=120.00
Space group P-6m2 (No. 187)
One atom of each set of equivalent atoms:
Cu: 0.0000 0.0000 0.0000 x1
Cu: 0.0000 0.0000 0.5000 x1
Cu: 0.3333 0.6667 0.1775 x2
Cu: 0.6667 0.3333 0.3414 x2
Ge: 0.3333 0.6667 0.5000 x1
Sb: 0.6667 0.3333 0.0000 x1

The 12 most intense peaks (2θ = 10–90°), low angle first:
(0 0 2), 2θ 23.49, I 15.9
(1 0 0), 2θ 24.01, I 13.5
(1 0 1), 2θ 26.78, I 5.3
(1 0 2), 2θ 33.84, I 16.6
(1 1 0), 2θ 42.23, I 100.0
(1 0 3), 2θ 43.36, I 81.7
(1 1 2), 2θ 48.88, I 13.0
(2 0 3), 2θ 62.13, I 26.5
(1 1 4), 2θ 65.86, I 6.0
(0 0 6), 2θ 75.28, I 5.1
(3 0 0), 2θ 77.21, I 16.3
(2 1 3), 2θ 78.00, I 26.4

~~~~~

This entry pairs a crystal structure of SmYO4 with its computed XRD peak list. Radiation: λ = 1.5418 Å (Cu Kα). Structure: a crystal structure in Alexandria, relaxed with PBE.

Structure:
Cell lengths 6.719, 3.887, 6.347 Å; angles 90.00, 97.28, 90.00 degrees
Space group Cm (No. 8)
Symmetry-distinct sites (fractional):
1 Sm 0.000 0.000 0.000 (multiplicity 2)
2 Y 0.117 0.500 0.541 (multiplicity 2)
3 O 0.157 0.500 0.908 (multiplicity 2)
4 O 0.220 0.000 0.341 (multiplicity 2)
5 O 0.392 0.000 0.211 (multiplicity 2)
6 O 0.457 0.500 0.621 (multiplicity 2)

Peak list (12 most intense, 2θ from 10° to 90°, in order of rising 2θ)
d = 6.296 Å, 14.1°, rel. 15
d = 3.358 Å, 26.5°, rel. 19
d = 3.332 Å, 26.8°, rel. 33
d = 3.148 Å, 28.4°, rel. 43
d = 3.044 Å, 29.3°, rel. 100
d = 2.887 Å, 31.0°, rel. 31
d = 2.802 Å, 31.9°, rel. 25
d = 2.227 Å, 40.5°, rel. 17
d = 1.943 Å, 46.7°, rel. 21
d = 1.929 Å, 47.1°, rel. 26
d = 1.833 Å, 49.7°, rel. 28
d = 1.731 Å, 52.9°, rel. 25

This entry pairs a crystal structure of TlZn4Pt15 with its computed XRD peak list. Radiation: λ = 1.5418 Å (Cu Kα). Structure: a crystal structure in Alexandria, relaxed with PBE.

Structure:
Cell lengths 3.957, 3.957, 19.921 Å; angles 90.00, 90.00, 90.00 degrees
Space group P4/mmm (No. 123)
Symmetry-distinct sites (fractional):
1 Tl 0.000 0.000 0.000 (multiplicity 1)
2 Zn 0.000 0.000 0.206 (multiplicity 2)
3 Zn 0.000 0.000 0.402 (multiplicity 2)
4 Pt 0.000 0.500 0.110 (multiplicity 4)
5 Pt 0.000 0.500 0.304 (multiplicity 4)
6 Pt 0.000 0.500 0.500 (multiplicity 2)
7 Pt 0.500 0.500 0.000 (multiplicity 1)
8 Pt 0.500 0.500 0.207 (multiplicity 2)
9 Pt 0.500 0.500 0.402 (multiplicity 2)

Peak list (12 most intense, 2θ from 10° to 90°, in order of rising 2θ)
d = 3.984 Å, 22.3°, rel. 2
d = 3.957 Å, 22.5°, rel. 4
d = 2.807 Å, 31.9°, rel. 3
d = 2.290 Å, 39.4°, rel. 100
d = 1.992 Å, 45.5°, rel. 15
d = 1.978 Å, 45.9°, rel. 34
d = 1.771 Å, 51.6°, rel. 2
d = 1.404 Å, 66.6°, rel. 19
d = 1.399 Å, 66.9°, rel. 11
d = 1.200 Å, 80.0°, rel. 10
d = 1.194 Å, 80.4°, rel. 26
d = 1.145 Å, 84.7°, rel. 10
Understand that it’s the child’s decision
The best thing you can do as a parent is to be supportive of your child’s career choices. Help your child take his own decision but do not pressurize him into joining any particular university that you deem fit. Be a partner in the decision, not a dominant factor.
When your child has finally reached a decision on the place for his future academic ventures, celebrate it and motivate him towards his life at the campus of his choice.